Contents:
-- begin --
[1]
A single C4H4O3 molecule. Source: the OMol25 dataset; level of theory: ωB97M-V with the def2-TZVPD basis set.

The geometry in XYZ format:
```
11
Properties=species:S:1:pos:R:3
C -0.05 -1.51 -0.46
C -0.61 -0.13 -0.67
O -1.69 0.13 -1.16
C 0.28 1.05 -0.22
O 0.95 1.70 -0.99
C 0.26 1.38 1.27
O -0.35 0.70 2.06
H 0.88 -1.62 -1.03
H -0.78 -2.25 -0.80
H 0.17 -1.65 0.60
H 0.86 2.26 1.55
```

HOMO energy = -9.789 eV
Orbital gap = 8.73 eV
SMILES = CC(=O)C(=O)C=O
Energy relative to the best compared isomer or geometry (same formula, charge and spin) = 1.303 eV

Atom charges from the Löwdin analysis, given in e for atoms 1 to 6: 0.01 -0.38 0.13 -0.28 0.15 -0.15

=====

[2]
A gas-phase ion, CClFO3P (charge -1). Source: the OMol25 dataset; level of theory: ωB97M-V with the def2-TZVPD basis set.

The geometry in XYZ format:
```
7
Properties=species:S:1:pos:R:3
C 1.37 -0.29 0.32
O -0.83 1.58 0.61
O -0.57 -0.04 -1.51
O 2.18 0.51 0.20
F 1.65 -1.63 0.20
P -0.69 0.26 -0.07
Cl -3.11 -0.38 0.25
```

Net charge = -1
HOMO energy = -5.875 eV
Orbital gap = 8.51 eV
SMILES = O=C(F)[P@@](=O)([O-])Cl
Energy relative to the best compared isomer or geometry (same formula, charge and spin) = 1.182 eV

Atom charges from the Löwdin analysis, given in e for atoms 1 to 6: -0.47 -0.43 -0.40 0.12 0.00 0.39

=====

[3]
A molecular structure, C22H28FN4O6Pt. Source: the OMol25 dataset; level of theory: ωB97M-V with the def2-TZVPD basis set.

The geometry in XYZ format:
```
62
Properties=species:S:1:pos:R:3
Pt 13.81 -0.21 5.38
F 11.77 -0.69 5.55
O 13.08 1.69 4.58
C 12.99 2.67 3.80
N 12.65 2.50 2.54
C 13.50 3.98 4.33
H 12.19 1.61 2.34
H 12.52 3.22 1.85
H 13.16 4.18 5.34
H 13.19 4.86 3.76
H 14.59 3.92 4.26
O 13.95 0.32 7.45
C 13.43 -0.16 8.49
N 12.21 -0.71 8.42
C 14.11 -0.05 9.81
H 11.99 -1.43 9.09
H 11.76 -0.79 7.51
H 13.71 -0.72 10.58
H 14.02 0.96 10.19
H 15.15 -0.38 9.76
O 10.09 1.03 2.09
C 9.20 0.29 2.56
N 9.49 -0.42 3.64
C 7.90 0.09 1.81
H 8.85 -1.05 4.09
H 10.38 -0.21 4.07
H 7.23 -0.61 2.29
H 8.19 -0.17 0.79
H 7.52 1.11 1.74
O 7.89 -2.88 8.24
C 8.42 -2.09 7.47
N 9.58 -2.39 6.85
C 7.75 -0.80 7.06
H 9.87 -3.36 6.91
H 10.18 -1.72 6.39
H 6.72 -1.00 6.78
H 8.25 -0.24 6.27
H 7.66 -0.04 7.85
C 11.98 -4.01 5.13
C 12.64 -5.19 5.42
C 12.38 -6.34 4.70
C 11.46 -6.30 3.65
C 10.84 -5.10 3.35
C 11.08 -3.94 4.08
C 9.85 -5.02 2.22
O 9.29 -3.98 1.95
C 9.53 -6.27 1.51
C 8.65 -6.22 0.43
C 8.28 -7.39 -0.20
C 8.69 -8.65 0.25
C 9.57 -8.69 1.33
C 10.04 -7.51 1.90
C 11.17 -7.55 2.88
O 11.77 -8.58 3.08
H 12.22 -3.13 5.73
H 13.31 -5.21 6.27
H 12.86 -7.28 4.94
H 10.62 -3.02 3.76
H 8.30 -5.29 0.01
H 7.60 -7.38 -1.05
H 8.26 -9.47 -0.31
H 9.96 -9.66 1.60
```

Net charge = +1
<S²> = 2.003
HOMO energy (alpha / beta) = -11.498 / -11.498 eV
Spin multiplicity = 3
Orbital gap (alpha / beta) = 6.18 / 5.38 eV
Energy relative to the best compared isomer or geometry (same formula, charge and spin) = 0.000 eV

Atom charges from the Löwdin analysis, given in e for atoms 1 to 6: 1.32 -0.53 -0.17 -0.52 0.23 0.02

=====

[4]
A single CH4N2O molecule. Source: the OMol25 dataset; level of theory: ωB97M-V with the def2-TZVPD basis set.

The geometry in XYZ format:
```
8
Properties=species:S:1:pos:R:3
C 0.66 -0.62 0.14
H -1.69 1.12 -0.82
H 0.45 0.39 -1.66
H 1.63 -1.05 -0.30
H -0.44 -0.21 1.74
N -0.09 0.01 -0.95
N 0.42 -0.74 1.39
O -0.78 1.08 -0.37
```

HOMO energy = -9.707 eV
Orbital gap = 10.50 eV
SMILES = [H]/N=C\NO
Energy relative to the best compared isomer or geometry (same formula, charge and spin) = 3.397 eV

Atom charges from the Löwdin analysis, given in e for atoms 1 to 6: -0.29 0.14 0.08 0.12 0.07 -0.08

=====

[5]
A single C6H14O molecule. Source: the OMol25 dataset; level of theory: ωB97M-V with the def2-TZVPD basis set.

The geometry in XYZ format:
```
21
Properties=species:S:1:pos:R:3
C 0.48 -3.16 -1.07
C -0.29 -1.85 -1.07
C 0.44 -0.73 -0.34
C -0.35 0.57 -0.27
C 0.32 1.60 0.65
C -0.50 2.87 0.90
-- stop --

Request:
Please write out the whole of the material above verbatim.

Done:
[1]
A single C4H4O3 molecule. Source: the OMol25 dataset; level of theory: ωB97M-V with the def2-TZVPD basis set.

The geometry in XYZ format:
```
11
Properties=species:S:1:pos:R:3
C -0.05 -1.51 -0.46
C -0.61 -0.13 -0.67
O -1.69 0.13 -1.16
C 0.28 1.05 -0.22
O 0.95 1.70 -0.99
C 0.26 1.38 1.27
O -0.35 0.70 2.06
H 0.88 -1.62 -1.03
H -0.78 -2.25 -0.80
H 0.17 -1.65 0.60
H 0.86 2.26 1.55
```

HOMO energy = -9.789 eV
Orbital gap = 8.73 eV
SMILES = CC(=O)C(=O)C=O
Energy relative to the best compared isomer or geometry (same formula, charge and spin) = 1.303 eV

Atom charges from the Löwdin analysis, given in e for atoms 1 to 6: 0.01 -0.38 0.13 -0.28 0.15 -0.15

=====

[2]
A gas-phase ion, CClFO3P (charge -1). Source: the OMol25 dataset; level of theory: ωB97M-V with the def2-TZVPD basis set.

The geometry in XYZ format:
```
7
Properties=species:S:1:pos:R:3
C 1.37 -0.29 0.32
O -0.83 1.58 0.61
O -0.57 -0.04 -1.51
O 2.18 0.51 0.20
F 1.65 -1.63 0.20
P -0.69 0.26 -0.07
Cl -3.11 -0.38 0.25
```

Net charge = -1
HOMO energy = -5.875 eV
Orbital gap = 8.51 eV
SMILES = O=C(F)[P@@](=O)([O-])Cl
Energy relative to the best compared isomer or geometry (same formula, charge and spin) = 1.182 eV

Atom charges from the Löwdin analysis, given in e for atoms 1 to 6: -0.47 -0.43 -0.40 0.12 0.00 0.39

=====

[3]
A molecular structure, C22H28FN4O6Pt. Source: the OMol25 dataset; level of theory: ωB97M-V with the def2-TZVPD basis set.

The geometry in XYZ format:
```
62
Properties=species:S:1:pos:R:3
Pt 13.81 -0.21 5.38
F 11.77 -0.69 5.55
O 13.08 1.69 4.58
C 12.99 2.67 3.80
N 12.65 2.50 2.54
C 13.50 3.98 4.33
H 12.19 1.61 2.34
H 12.52 3.22 1.85
H 13.16 4.18 5.34
H 13.19 4.86 3.76
H 14.59 3.92 4.26
O 13.95 0.32 7.45
C 13.43 -0.16 8.49
N 12.21 -0.71 8.42
C 14.11 -0.05 9.81
H 11.99 -1.43 9.09
H 11.76 -0.79 7.51
H 13.71 -0.72 10.58
H 14.02 0.96 10.19
H 15.15 -0.38 9.76
O 10.09 1.03 2.09
C 9.20 0.29 2.56
N 9.49 -0.42 3.64
C 7.90 0.09 1.81
H 8.85 -1.05 4.09
H 10.38 -0.21 4.07
H 7.23 -0.61 2.29
H 8.19 -0.17 0.79
H 7.52 1.11 1.74
O 7.89 -2.88 8.24
C 8.42 -2.09 7.47
N 9.58 -2.39 6.85
C 7.75 -0.80 7.06
H 9.87 -3.36 6.91
H 10.18 -1.72 6.39
H 6.72 -1.00 6.78
H 8.25 -0.24 6.27
H 7.66 -0.04 7.85
C 11.98 -4.01 5.13
C 12.64 -5.19 5.42
C 12.38 -6.34 4.70
C 11.46 -6.30 3.65
C 10.84 -5.10 3.35
C 11.08 -3.94 4.08
C 9.85 -5.02 2.22
O 9.29 -3.98 1.95
C 9.53 -6.27 1.51
C 8.65 -6.22 0.43
C 8.28 -7.39 -0.20
C 8.69 -8.65 0.25
C 9.57 -8.69 1.33
C 10.04 -7.51 1.90
C 11.17 -7.55 2.88
O 11.77 -8.58 3.08
H 12.22 -3.13 5.73
H 13.31 -5.21 6.27
H 12.86 -7.28 4.94
H 10.62 -3.02 3.76
H 8.30 -5.29 0.01
H 7.60 -7.38 -1.05
H 8.26 -9.47 -0.31
H 9.96 -9.66 1.60
```

Net charge = +1
<S²> = 2.003
HOMO energy (alpha / beta) = -11.498 / -11.498 eV
Spin multiplicity = 3
Orbital gap (alpha / beta) = 6.18 / 5.38 eV
Energy relative to the best compared isomer or geometry (same formula, charge and spin) = 0.000 eV

Atom charges from the Löwdin analysis, given in e for atoms 1 to 6: 1.32 -0.53 -0.17 -0.52 0.23 0.02

=====

[4]
A single CH4N2O molecule. Source: the OMol25 dataset; level of theory: ωB97M-V with the def2-TZVPD basis set.

The geometry in XYZ format:
```
8
Properties=species:S:1:pos:R:3
C 0.66 -0.62 0.14
H -1.69 1.12 -0.82
H 0.45 0.39 -1.66
H 1.63 -1.05 -0.30
H -0.44 -0.21 1.74
N -0.09 0.01 -0.95
N 0.42 -0.74 1.39
O -0.78 1.08 -0.37
```

HOMO energy = -9.707 eV
Orbital gap = 10.50 eV
SMILES = [H]/N=C\NO
Energy relative to the best compared isomer or geometry (same formula, charge and spin) = 3.397 eV

Atom charges from the Löwdin analysis, given in e for atoms 1 to 6: -0.29 0.14 0.08 0.12 0.07 -0.08

=====

[5]
A single C6H14O molecule. Source: the OMol25 dataset; level of theory: ωB97M-V with the def2-TZVPD basis set.

The geometry in XYZ format:
```
21
Properties=species:S:1:pos:R:3
C 0.48 -3.16 -1.07
C -0.29 -1.85 -1.07
C 0.44 -0.73 -0.34
C -0.35 0.57 -0.27
C 0.32 1.60 0.65
C -0.50 2.87 0.90